## Excerpt
<<<
[1]
VASP calculation (PBE) on a relaxed structure of VAuIN2.

a b c (Å): 3.927 3.927 7.015
angles (deg): 90.00 90.00 90.00
Fractional positions:
V1 0.000 0.000 0.000
Au1 0.500 0.500 0.500
I1 0.500 0.500 0.000
N1 0.000 0.500 0.500
N2 0.500 0.000 0.500

## Properties
Its uncorrected formation energy is 2074 meV per atom.

[2]
VASP calculation (PBE) on a relaxed structure of ZnOsBr2.

a b c (Å): 3.812 3.812 9.439
angles (deg): 101.35 101.35 60.00
Fractional positions:
Zn1 0.000 0.000 0.000
Os1 0.500 0.500 0.500
Br1 0.212 0.212 0.638
Br2 0.788 0.788 0.362

## Properties
Its uncorrected formation energy is 522 meV per atom.

[3]
VASP calculation (PBE) on a relaxed structure of SrLi2Cl.

a b c (Å): 5.902 5.902 5.902
angles (deg): 130.58 130.58 72.48
Fractional positions:
Sr1 0.000 0.000 0.000
Li1 0.500 0.500 0.000
Li2 0.750 0.250 0.500
Cl1 0.250 0.750 0.500

## Properties
Its uncorrected formation energy is -448 meV per atom.

[4]
VASP calculation (PBE) on a relaxed structure of CuOs4Rh.

a b c (Å): 5.107 5.107 5.107
angles (deg): 60.00 60.00 60.00
Fractional positions:
Cu1 0.000 0.000 0.000
Os1 0.375 0.375 0.375
Os2 0.375 0.375 0.874
Os3 0.375 0.874 0.375
Os4 0.874 0.375 0.375
Rh1 0.750 0.750 0.750

## Properties
The formation energy comes out at 19.95 kcal/mol of atoms.

[5]
VASP calculation (PBE) on a relaxed structure of Ta3NbFe.

a b c (Å): 5.451 7.923 8.427
angles (deg): 90.00 90.00 90.00
Fractional positions:
Ta1 0.047 0.250 0.150
Ta2 0.246 0.564 0.272
Ta3 0.246 0.936 0.272
Ta4 0.254 0.064 0.772
Ta5 0.254 0.436 0.772
Ta6 0.453 0.750 0.650
Ta7 0.547 0.250 0.350
Ta8 0.746 0.564 0.228
Ta9 0.746 0.936 0.228
Ta10 0.754 0.064 0.728
Ta11 0.754 0.436 0.728
Ta12 0.953 0.750 0.850
Nb1 0.070 0.250 0.487
Nb2 0.430 0.750 0.987
Nb3 0.570 0.250 0.013
Nb4 0.930 0.750 0.513
Fe1 0.000 0.000 0.000
Fe2 0.000 0.500 0.000
Fe3 0.500 0.000 0.500
Fe4 0.500 0.500 0.500

## Properties
The formation energy comes out at 9.94 kcal/mol of atoms.

[6]
VASP calculation (PBE) on a relaxed structure of ZnCo2Br.

a b c (Å): 3.929 3.929 6.215
angles (deg): 107.31 107.31 58.75
Fractional positions:
Zn1 0.000 0.000 0.000
Co1 0.414 0.414 0.240
Co2 0.726 0.726 0.190
Br1 0.990 0.990 0.573

## Properties
Its uncorrected formation energy is 270 meV per atom.

[7]
VASP calculation (PBE) on a relaxed structure of ScAlAs.

a b c (Å): 4.336 4.336 3.550
angles (deg): 90.00 90.00 120.00
Fractional positions:
Sc1 0.000 0.000 0.000
Al1 0.667 0.333 0.500
As1 0.333 0.667 0.500

## Properties
The formation energy comes out at -10.03 kcal/mol of atoms.

[8]
VASP calculation (PBE) on a relaxed structure of Fe2RePt.

a b c (Å): 4.595 4.595 2.671
angles (deg): 90.00 90.00 108.36
Fractional positions:
Fe1 0.000 0.500 0.000
Fe2 0.500 0.000 0.000
Re1 0.000 0.000 0.500
Pt1 0.500 0.500 0.500

## Properties
The formation energy comes out at 0.94 kcal/mol of atoms.

[9]
VASP calculation (PBE) on a relaxed structure of LiAgBPd2.

a b c (Å): 4.086 4.086 4.392
angles (deg): 90.00 90.00 90.00
Fractional positions:
Li1 0.000 0.000 0.000
Ag1 0.500 0.500 0.000
B1 0.000 0.000 0.500
Pd1 0.000 0.500 0.500
Pd2 0.500 0.000 0.500

## Properties
The formation energy comes out at -3.34 kcal/mol of atoms.

[10]
VASP calculation (PBE) on a relaxed structure of ZrScCu.

a b c (Å): 7.543 7.543 4.880
angles (deg): 90.63 90.63 24.96
Fractional positions:
Zr1 0.000 0.000 0.000
Zr2 0.690 0.690 0.021
Sc1 0.555 0.555 0.506
Sc2 0.857 0.857 0.484
Cu1 0.206 0.206 0.546
Cu2 0.344 0.344 0.957

## Properties
The formation energy comes out at -2.50 kcal/mol of atoms.

[11]
VASP calculation (PBE) on a relaxed structure of CdHPb3.

a b c (Å): 5.698 5.698 5.698
angles (deg): 90.00 90.00 90.00
Fractional positions:
Cd1 0.000 0.000 0.000
H1 0.500 0.500 0.500
Pb1 0.000 0.000 0.500
Pb2 0.000 0.500 0.000
Pb3 0.500 0.000 0.000

## Properties
The calculation puts the uncorrected energy at -2.164 eV/atom.

[12]
VASP calculation (PBE) on a relaxed structure of Sm2YPa.

a b c (Å): 12.547 12.547 12.547
angles (deg): 15.44 15.44 15.44
>>>
## Request
What is needed: search the notes earlier on for the word "Re1" and echo each line that has it.
## Here it is
Re1 0.000 0.000 0.500